# Contents
/*
DFT (GGA-PBE) results for a relaxed CuRhPb crystal.

Computed properties:
- energy relative to the lowest polymorph listed for this composition (kcal/mol of atoms) = 0.55
- V (Å³ per atom) = 19.9
- calculated formation energy (meV per atom) = 164.7
- D(E_F) (states/eV/cell) = 1.7

Cell: 4.385 4.385 4.385 Å, 60.00 60.00 60.00°
Positions (direct):
Rh 0.750 0.750 0.750
Cu 0.000 0.000 0.000
Pb 0.500 0.500 0.500
*/
# To do
Start at the top of the listing further up and duplicate each line, ending with the one that has "0.000 0.000".
# Done
DFT (GGA-PBE) results for a relaxed CuRhPb crystal.

Computed properties:
- energy relative to the lowest polymorph listed for this composition (kcal/mol of atoms) = 0.55
- V (Å³ per atom) = 19.9
- calculated formation energy (meV per atom) = 164.7
- D(E_F) (states/eV/cell) = 1.7

Cell: 4.385 4.385 4.385 Å, 60.00 60.00 60.00°
Positions (direct):
Rh 0.750 0.750 0.750
Cu 0.000 0.000 0.000